== Exercise ==
Your job: transcribe all of the listing underneath verbatim.

== Material ==
<<<
(1)
Entry from Alexandria: a relaxed structure of Nd2GaFe2Co5 (PBE).

- Energy of formation: 0.074 eV per atom
- Mass density: 8.23 g/cm³

Cell lengths 9.212, 9.212, 3.634 Å; angles 90.00, 90.00, 90.00 degrees
Fractional coordinates of all 20 atoms:
Nd1 0.186 0.314 0.000
Nd2 0.314 0.814 0.000
Nd3 0.686 0.186 0.000
Nd4 0.814 0.686 0.000
Ga1 0.000 0.000 0.000
Ga2 0.500 0.500 0.000
Fe1 0.112 0.612 0.000
Fe2 0.388 0.112 0.000
Fe3 0.612 0.888 0.000
Fe4 0.888 0.388 0.000
Co1 0.000 0.500 0.500
Co2 0.055 0.790 0.500
Co3 0.210 0.055 0.500
Co4 0.290 0.555 0.500
Co5 0.445 0.290 0.500
Co6 0.500 0.000 0.500
Co7 0.555 0.710 0.500
Co8 0.710 0.445 0.500
Co9 0.790 0.945 0.500
Co10 0.945 0.210 0.500



(2)
Entry from Alexandria: a relaxed structure of Ga2FeCoNi (PBE).

- Energy of formation: 0.829 eV per atom
- Mass density: 6.14 g/cm³

Cell lengths 4.452, 4.452, 4.271 Å; angles 90.00, 90.00, 90.00 degrees
Fractional coordinates of all 5 atoms:
Ga1 0.000 0.500 0.000
Ga2 0.500 0.000 0.000
Fe1 0.000 0.000 0.000
Co1 0.500 0.500 0.500
Ni1 0.000 0.000 0.500



What is the energy of formation in the second record? 0.829 eV per atom



Which formula does entry 2 have? Ga2FeCoNi



What is the mass density in the second record? 6.14 g/cm³



Look up the mass density of the second one. 6.14 g/cm³


Below is HoAgAsO after structural relaxation, with properties calculated at the PBE-GGA level.

Electronic total energy = -41.723 eV per cell
Energy relative to the lowest polymorph listed for this composition = 0.6596 eV/atom

Unit cell a=5.584 b=5.584 c=4.794 alpha=90.00 beta=90.00 gamma=90.00
Space group P4/nmm (No. 129, origin choice 2)
Symmetry-distinct sites (fractional):
Ho 0.250 0.750 0.000 (multiplicity 2)
Ag 0.250 0.250 0.500 (multiplicity 2)
As 0.250 0.250 0.001 (multiplicity 2)
O 0.250 0.750 0.500 (multiplicity 2)


DFT (PBE with a Hubbard U) results for VAgO3 after structural relaxation.

Results
Magnetic moment: 0.0000 μB/atom
VASP energy: -126.96 eV per cell

```
20
Lattice="-0.949 2.842 -4.339 5.630 -1.920 -2.489 -5.580 -7.829 -3.906" Properties=species:S:1:pos:R:3 pbc="T T T"
V -0.097 -2.691 -6.547
V -0.803 -4.217 -4.188
V 4.802 -1.262 -3.480
V -5.702 -5.645 -7.255
Ag 1.015 -1.593 -2.859
Ag -1.915 -5.314 -7.876
Ag -1.937 -0.447 -4.666
Ag 1.037 -6.460 -6.069
O -0.935 -1.013 -6.861
O 0.035 -5.895 -3.874
O -0.463 0.396 -2.838
O -0.437 -7.303 -7.897
O -0.460 -2.429 -4.699
O -0.439 -4.479 -6.036
O 0.009 -1.021 -0.675
O -0.909 -5.887 -10.060
O 1.530 -2.518 -6.790
O -2.430 -4.390 -3.945
O 3.175 -1.435 -3.237
O -4.075 -5.473 -7.498
```


Record 1
Below is a relaxed ZrRe2Pt crystal, with properties calculated at the PBE level.

Polymorph energy (0 for the lowest one), kJ/mol of formula units: 166
Mass density, kg/m³: 16496
Energy, eV/atom: -9.675
N(E_F), states/eV per atom: 1.12
ΔH_f (0 K), kcal/mol of atoms: 4.53

a b c (Å): 2.806 2.806 29.184
angles (deg): 90.00 90.00 120.00
Element x y z (fractional)
Zr1 0.000 0.000 0.000
Zr2 0.333 0.667 0.667
Zr3 0.667 0.333 0.333
Re1 0.000 0.000 0.244
Re2 0.000 0.000 0.756
Re3 0.333 0.667 0.422
Re4 0.333 0.667 0.911
Re5 0.667 0.333 0.089
Re6 0.667 0.333 0.578
Pt1 0.000 0.000 0.500
Pt2 0.333 0.667 0.167
Pt3 0.667 0.333 0.833



Record 2
Below is a relaxed ZrRePt crystal, with properties calculated at the PBE level.

Polymorph energy (0 for the lowest one), kJ/mol of formula units: 15
Mass density, kg/m³: 15127
Energy, eV/atom: -9.219
N(E_F), states/eV per atom: 1.33
ΔH_f (0 K), kcal/mol of atoms: -4.77

a b c (Å): 4.653 4.653 2.766
angles (deg): 90.00 90.00 120.00
Element x y z (fractional)
Zr1 0.000 0.000 0.000
Re1 0.333 0.667 0.500
Pt1 0.667 0.333 0.500



Record 3
Below is a relaxed Zr2RePt crystal, with properties calculated at the PBE level.

Mass density, kg/m³: 11430
Energy, eV/atom: -8.502
N(E_F), states/eV per atom: 1.28
ΔH_f (0 K), kcal/mol of atoms: 9.10

a b c (Å): 4.241 4.241 18.216
angles (deg): 90.00 90.00 90.00
Element x y z (fractional)
Zr1 0.246 0.250 0.125
Zr2 0.250 0.746 0.375
>>>

== Response ==
(1)
Entry from Alexandria: a relaxed structure of Nd2GaFe2Co5 (PBE).

- Energy of formation: 0.074 eV per atom
- Mass density: 8.23 g/cm³

Cell lengths 9.212, 9.212, 3.634 Å; angles 90.00, 90.00, 90.00 degrees
Fractional coordinates of all 20 atoms:
Nd1 0.186 0.314 0.000
Nd2 0.314 0.814 0.000
Nd3 0.686 0.186 0.000
Nd4 0.814 0.686 0.000
Ga1 0.000 0.000 0.000
Ga2 0.500 0.500 0.000
Fe1 0.112 0.612 0.000
Fe2 0.388 0.112 0.000
Fe3 0.612 0.888 0.000
Fe4 0.888 0.388 0.000
Co1 0.000 0.500 0.500
Co2 0.055 0.790 0.500
Co3 0.210 0.055 0.500
Co4 0.290 0.555 0.500
Co5 0.445 0.290 0.500
Co6 0.500 0.000 0.500
Co7 0.555 0.710 0.500
Co8 0.710 0.445 0.500
Co9 0.790 0.945 0.500
Co10 0.945 0.210 0.500



(2)
Entry from Alexandria: a relaxed structure of Ga2FeCoNi (PBE).

- Energy of formation: 0.829 eV per atom
- Mass density: 6.14 g/cm³

Cell lengths 4.452, 4.452, 4.271 Å; angles 90.00, 90.00, 90.00 degrees
Fractional coordinates of all 5 atoms:
Ga1 0.000 0.500 0.000
Ga2 0.500 0.000 0.000
Fe1 0.000 0.000 0.000
Co1 0.500 0.500 0.500
Ni1 0.000 0.000 0.500



What is the energy of formation in the second record? 0.829 eV per atom



Which formula does entry 2 have? Ga2FeCoNi



What is the mass density in the second record? 6.14 g/cm³



Look up the mass density of the second one. 6.14 g/cm³


Below is HoAgAsO after structural relaxation, with properties calculated at the PBE-GGA level.

Electronic total energy = -41.723 eV per cell
Energy relative to the lowest polymorph listed for this composition = 0.6596 eV/atom

Unit cell a=5.584 b=5.584 c=4.794 alpha=90.00 beta=90.00 gamma=90.00
Space group P4/nmm (No. 129, origin choice 2)
Symmetry-distinct sites (fractional):
Ho 0.250 0.750 0.000 (multiplicity 2)
Ag 0.250 0.250 0.500 (multiplicity 2)
As 0.250 0.250 0.001 (multiplicity 2)
O 0.250 0.750 0.500 (multiplicity 2)


DFT (PBE with a Hubbard U) results for VAgO3 after structural relaxation.

Results
Magnetic moment: 0.0000 μB/atom
VASP energy: -126.96 eV per cell

```
20
Lattice="-0.949 2.842 -4.339 5.630 -1.920 -2.489 -5.580 -7.829 -3.906" Properties=species:S:1:pos:R:3 pbc="T T T"
V -0.097 -2.691 -6.547
V -0.803 -4.217 -4.188
V 4.802 -1.262 -3.480
V -5.702 -5.645 -7.255
Ag 1.015 -1.593 -2.859
Ag -1.915 -5.314 -7.876
Ag -1.937 -0.447 -4.666
Ag 1.037 -6.460 -6.069
O -0.935 -1.013 -6.861
O 0.035 -5.895 -3.874
O -0.463 0.396 -2.838
O -0.437 -7.303 -7.897
O -0.460 -2.429 -4.699
O -0.439 -4.479 -6.036
O 0.009 -1.021 -0.675
O -0.909 -5.887 -10.060
O 1.530 -2.518 -6.790
O -2.430 -4.390 -3.945
O 3.175 -1.435 -3.237
O -4.075 -5.473 -7.498
```


Record 1
Below is a relaxed ZrRe2Pt crystal, with properties calculated at the PBE level.

Polymorph energy (0 for the lowest one), kJ/mol of formula units: 166
Mass density, kg/m³: 16496
Energy, eV/atom: -9.675
N(E_F), states/eV per atom: 1.12
ΔH_f (0 K), kcal/mol of atoms: 4.53

a b c (Å): 2.806 2.806 29.184
angles (deg): 90.00 90.00 120.00
Element x y z (fractional)
Zr1 0.000 0.000 0.000
Zr2 0.333 0.667 0.667
Zr3 0.667 0.333 0.333
Re1 0.000 0.000 0.244
Re2 0.000 0.000 0.756
Re3 0.333 0.667 0.422
Re4 0.333 0.667 0.911
Re5 0.667 0.333 0.089
Re6 0.667 0.333 0.578
Pt1 0.000 0.000 0.500
Pt2 0.333 0.667 0.167
Pt3 0.667 0.333 0.833



Record 2
Below is a relaxed ZrRePt crystal, with properties calculated at the PBE level.

Polymorph energy (0 for the lowest one), kJ/mol of formula units: 15
Mass density, kg/m³: 15127
Energy, eV/atom: -9.219
N(E_F), states/eV per atom: 1.33
ΔH_f (0 K), kcal/mol of atoms: -4.77

a b c (Å): 4.653 4.653 2.766
angles (deg): 90.00 90.00 120.00
Element x y z (fractional)
Zr1 0.000 0.000 0.000
Re1 0.333 0.667 0.500
Pt1 0.667 0.333 0.500



Record 3
Below is a relaxed Zr2RePt crystal, with properties calculated at the PBE level.

Mass density, kg/m³: 11430
Energy, eV/atom: -8.502
N(E_F), states/eV per atom: 1.28
ΔH_f (0 K), kcal/mol of atoms: 9.10

a b c (Å): 4.241 4.241 18.216
angles (deg): 90.00 90.00 90.00
Element x y z (fractional)
Zr1 0.246 0.250 0.125
Zr2 0.250 0.746 0.375